Installation and "Train the Trainer" Training for National Invasive Species Information Management System

IB 2011-050
Information Bulletin

UNITED STATES DEPARTMENT OF THE INTERIORBUREAU OF LAND MANAGEMENTWashington, DC 20240http://www.blm.govMay 6, 2011In Reply Refer To:9015 (220) P         EMS TRANSMISSION 05/09/2011Information Bulletin No. 2011-050To:                   State DirectorsAttn:  State Weed Leads and State GIS ManagersFrom:               Division Chief, Rangeland ResourcesSubject:           Installation and "Train the Trainer" Training for the National Invasive Species Information Management System                                         DD:  May 16, 2011The National Invasive Species Information Management System (NISIMS), Washington Office (WO) Program Lead and National Operations Center Program Manager invites one, technically skilled geospatial professional from each of the BLM western states to attend training session to deploy the interim solution for the Fiscal Year (FY) 11 field season.  The WO will defray training costs by a budget transfer to each state of $2,000.  Each state will need to travel within their travel ceiling.  Please RSVP Cindy Lou McDonald by May 16, 2011, with the contact information of the person attending from your state.The training will be June 1, 2011, at 8:30 am and continue until June 3, 2011, at noon, PST, at the BLM Oregon State Office, Robert Duncan Plaza, 333 SW First Avenue in Portland, Oregon.  The office has a light-rail stop  at Oak and SW First Avenue (see www. on the red line from the Portland (PDX) airport.  No hotel room block is reserved, so call now to make a reservation at the hotel of your choice from the list in the attachment.Upon completion of the training, all participants should have the materials and knowledge to install, configure, and use the state EGIS system with their mobile GIS equipment for their state.  With that equipment, they can collect standard infestation and treatment data in the NISIMS standard format.  All states will be given the curriculum necessary to train local staff on the use of NISIMS.In those states with technical EGIS challenges, without ArcGIS 10, or without skilled experience in mobile GIS enterprise data collection, it is anticipated further assistance will be required during their implementation period.  States should coordinate with Cindy Lou McDonald (503-808 6571) at least three weeks in advance of their anticipated implementation to confirm their needs and processes.  Additional custom products and technical support will be needed to ease each state through their implementation.  These products and support will be provided by staff designated by the Washington Office, the National Operations Center and the States.It is expected that, once implemented, states can expect a cost-saving in the time required to create field office and state infestation and treatment datasets to standards, to create products using that data, and to create required reports based on that data.  Participation and implementation of NISIMS is an investment in further implementation of the BLM EGIS system of 2003 and the Geospatial Services Strategic Plan (GSSP) of 2008 because it contains tools to implement data flow from field data collection to the national database.Skills and experience in implementing NISIMS will be recycled by BLM staff in field and state offices as the WO and the National Operations Center continue to collaborate to develop simple, national tools to collect and maintain spatial data for assets and natural resources on public lands.Please see the attachment for a syllabus and further information.  Phone or email Cindy Lou McDonald 503-808-6571, interim Project Coordinator, Roy King, NISIMS Project Manager, or Gina Ramos WO 200 Program Lead Senior Weeds Specialist 202-912-7226, if you have any questions.  We look forward to seeing you in Portland June 1 to 3.Signed by:                                                                   Authenticated by:Richard Mayberry                                                       Robert M. WilliamsActing, Division Chief                                                Division of IRM Governance,WO-560Rangeland Resources1 Attachment1 - Training Specifics:  Installation, Maintenance, and Use of NISIMS in the Twelve BLM States (3 pp)

Quantum chemistry results, as found in the file:
- - -
[1]
Density functional theory data (ωB97M-V/def2-TZVPD) for the ion C3H6NO3S with charge -1 at a distorted geometry.

```
14
Properties=species:S:1:pos:R:3:forces:R:3
S 1.950076 -1.499422 -0.230226 1.5 -2.5 -0.6
O 0.545892 2.020900 0.200818 -0.5 -0.1 -0.2
O -0.981785 0.470386 1.459388 -0.8 1.1 -0.1
O 2.496875 1.212141 -0.532136 -0.1 -0.6 0.0
N 0.907298 -0.277454 0.098993 -4.5 1.8 1.0
C -1.614918 -0.674806 -0.582020 0.6 3.3 -0.1
C -0.719938 -0.550112 0.595576 4.6 0.0 0.7
C 1.222632 1.010188 -0.059677 1.9 -0.3 -0.4
H -1.711842 -1.626819 -0.953915 -0.3 -2.3 -0.7
H 2.924273 0.296717 -0.699548 -1.0 1.0 0.4
H -0.651590 1.328515 1.016108 0.0 -0.8 0.3
H -1.252335 -0.005729 -1.417153 -0.5 -0.5 0.9
H -2.509043 -0.261748 -0.129134 -0.8 -0.2 -0.6
H -0.605590 -1.442751 1.232927 -0.1 0.0 -0.7
```
Forces are in eV/Å.

Summary:
Energy above the lowest of the compared OMol25 structures with the same formula, charge and spin in kJ/mol: 156.4
Structure (SMILES): C[C@H](O)N([S-])C(=O)O
2S+1: 1
Total charge: -1
Kohn-Sham gap in hartree: 0.239

[2]
Density functional theory data (ωB97M-V/def2-TZVPD) for a cluster of 2 separate species, C3H6NO4 in total at a distorted geometry.

```
14
Properties=species:S:1:pos:R:3:forces:R:3
O -0.026723 -1.746270 -2.382607 -0.2 -0.5 -0.1
O 0.257119 -1.375416 2.270202 0.0 -0.2 -0.6
O -0.243647 -1.952256 -0.138360 -0.3 -0.4 -0.6
O -0.303717 2.943495 -0.873447 0.4 -0.1 -0.2
N -0.127556 0.847376 0.104359 -0.5 1.7 -0.3
C 0.373708 0.182924 -1.070657 0.4 -1.6 0.2
C -0.333614 2.179290 0.077248 -0.6 -0.4 0.4
C -0.048343 -1.335708 -1.225905 0.6 1.3 0.4
H 0.121613 -1.707918 1.286950 -0.1 0.6 1.0
H 0.175864 0.731786 -1.986699 -0.3 0.1 0.3
H 1.458780 0.129591 -0.944883 0.2 0.0 -0.3
H -0.309832 0.412693 0.999726 0.4 -0.7 -0.3
H -0.619376 2.546560 1.072045 -0.1 0.1 0.3
H -0.374277 -1.856150 2.812034 0.0 0.0 -0.2
```
Forces are in eV/Å.

Summary:
Energy above the lowest of the compared OMol25 structures with the same formula, charge and spin in kJ/mol: 104.4
2S+1: 1
Total charge: -1
Kohn-Sham gap in hartree: 0.318

no.,LUMO (eV)
1,3.774
2,3.756

~~~~~

A cluster of 2 separate species, C15H26N6O10 in total. Source: the Open Molecules 2025 dataset; level of theory: wB97M-V/def2-TZVPD.

Output
* lowest unoccupied orbital energy: -0.3 eV
* F_max: 0.071 Eh/bohr
* Kohn-Sham gap: 9.0 eV
* SMILES: O=c1[nH]c(NC[C@H](O)[C@H](O)[C@H](O)CO)c([N+](=O)[O-])c(=O)[nH]1.CNC(=O)[C@H](C)NC(C)=O
* HOMO level: -9.307 eV
* total charge: 0
* spin multiplicity: 1

XYZ file:
```
57
Properties=species:S:1:pos:R:3:forces:R:3
O -1.634 1.760 2.121 0.738 -0.259 0.694
C -2.228 1.957 1.081 0.758 -0.498 2.331
N -1.568 1.900 -0.104 -1.397 -0.268 -0.838
C -2.239 2.015 -1.284 0.186 0.181 -1.409
N -1.447 1.812 -2.389 0.232 0.250 -0.653
C -1.170 0.426 -2.837 0.379 -0.279 0.686
C 0.038 -0.310 -2.199 0.331 -0.090 -0.422
O -0.133 -0.422 -0.775 -0.057 0.078 -0.226
C 1.451 0.250 -2.523 -0.445 0.600 0.755
O 1.691 1.491 -1.840 -0.189 -0.386 -0.402
C 1.711 0.449 -4.038 0.696 -0.912 0.237
- - -
The quantum chemistry results stop here:


National Office

Fiscal Year